Monday, June 28, 2010
Monday, March 09, 2009
Wednesday, November 19, 2008
Girl Talk at Terminal 5

I got my groove on (Dance Fabulous would have been proud) and have bruises to prove it. I learned that jumping for 30 minutes straight isn't as easy as it used to be, but keeping the appropriate dance space is just as simple as a two person operation. Had my friend Shannon in totes, so we were ready.
For all those hating on Girl Talk the simple truth is the boy knows his music. He's got the new, the old and everything in between; i.e. Kelly Clarkson mashed with Ghostface Killah and EWF.
We skipped the openers, which ended up being the right decision as I've read nothing but crap reviews and my night was better spent watching House on Fox. It was a really good episode.
I want to say I might have even heard a little Michael McDonald.
People might say it's not worth your money watching some dude stare at his computer for 80% of the show while concertgoers dance it up on stage and off. I thought it was great. I wanted more from those involved. I did my part, but being so far in the back I had a hard time proving my ability. If I was on stage I would have given it my all. Unfortunately, those at my concert were too concerned with looking good. The need to be hip hurt us again.
If he comes to your city please check him out, but don't go if you want to stand in the back and drink a beer. You'll end up wet and angry.
Tuesday, November 13, 2007
DD Day -- Nov 12th

Nothing but the best was left for the end of the night; The Reflex, Notorious, Planet Earth shattered all previous live versions I've heard before.
And don't worry about me...they did end the night with Girls on Film.
No matter how hard you try, you'll never be as good as me.
Monday, November 05, 2007
Best of 2007
I'm starting to work on my favorite songs of 2007. Now's the time to share any titles you think I should consider before I finalize my picks.
dance fabulous prep
So in doing homework for Dance Fabulous I've been checking out some choreography clips on YouTube.com. Can't wait until we can start doing stuff like this again! Here are my favorites:
Thursday, August 23, 2007
Urgent--fall concert update
I know you are anxiously awaiting my accounts from Day 3 at Lolla--but there is urgent business to take care of--concerts. There are tons and tons of upcoming concerts with more coming everyday. Here's my list as it stands today. '(Costs don't include any of the additional fees.) Let me know what you are interested in:
Monday, August 27 Milwaukee Rufus Wainwright, The Magic Numbers, A Fine Frenzy $40 Pabst
Monday, Sept 4, Chicago, Kaiser Chiefs, White Rabbits, $26, Metro
Tuesday, Sept 11 Milwaukee Bloc Party $23 Pabst Theatre
Wednes, Sept 12 Chicago Arctic Monkeys $27 The Riviera
Saturday, Sept 15 Madison The Sea and the Cake $13 High Noon Saloon
Friday, Sept 28 Madison Ryan Adams $30, The Barrymore
Thur, Oct 4 Madison Suzanne Vega, $25, The Barrymore
Saturday, Oct 6, Twin Cities, Regina Spektor, $22.50, Myth
Mon, Oct 8, Milwaukee Spoon, $18, Pabst Theatre
Friday, Oct 12 Madison Paolo Nutini $25 The Barrymore
Wednesday, Oct 17, Milwaukee New Pornographers, $20 Pabst Theatre
Tuesday or Wed, Oct 30-31, Chicago, The Hold Steady, $20 Metro--on sale 8/25!
Sun or Mon, Nov 18-19, Milwaukee The Decemberist, Riverside Theater ("Long of It") *
/*
Simulated powder XRD pattern of Hf3Zr5In3 for CuKα, from a structure optimized by DFT (GGA-PBE).
No peak broadening, texture or thermal motion is included.

Principal peaks in the range 10° ≤ 2θ ≤ 80°, by angle:
index	2θ (°)	I (rel.)
1 0 0	10.23	59
2 1 0	27.28	51
1 0 1	30.52	39
1 1 1	33.94	45
2 2 0	35.96	41
3 1 0	37.49	100
2 1 1	40.00	85
2 2 1	46.63	74
3 2 1	54.87	39
6 0 1	72.22	34

Structural model:
a b c (Å): 9.9885 9.9885 3.1124
angles (deg): 90.00 90.00 120.00
Fractional positions:
1 Hf 0.0000 0.8337 0.0000
2 Hf 0.1663 0.1663 0.0000
3 Hf 0.8337 0.0000 0.0000
4 Zr 0.0000 0.3335 0.0000
5 Zr 0.3335 0.0000 0.0000
6 Zr 0.3333 0.6667 0.0000
7 Zr 0.6667 0.3333 0.0000
8 Zr 0.6665 0.6665 0.0000
9 In 0.0000 0.5848 0.5000
10 In 0.4152 0.4152 0.5000
11 In 0.5848 0.0000 0.5000

=====

1.
Computed X-ray diffraction stick pattern
Compound: Nd5YHg3
Radiation: λ = 1.5418 Å (Cu Kα)
Structure: a cell relaxed with PBE
Intensities are scaled so that the largest is 100.

Peak list (10 most intense, 10° ≤ 2θ ≤ 90°, sorted by position)
Position (°2θ)  Rel. int.
25.27  14
31.78  91
33.13  100
42.12  23
46.56  31
58.33  32
59.18  19
62.96  32
78.47  14
82.55  15

Lattice parameters (Å, degrees): 9.3678 9.3678 7.0486 90.00 90.00 120.00
Space group P6_3/mcm (No. 193)
Inequivalent atoms, fractional coordinates:
Nd1 0.0000 0.3369 0.2500
Nd2 0.3333 0.6667 0.0000
Y1 0.0000 0.0000 0.0000
Hg1 0.0000 0.3255 0.7500

=====

2.
Computed X-ray diffraction stick pattern
Compound: NdYHg6
Radiation: λ = 1.5418 Å (Cu Kα)
Structure: a cell relaxed with PBE
Intensities are scaled so that the largest is 100.

Peak list (10 most intense, 10° ≤ 2θ ≤ 90°, sorted by position)
Position (°2θ)  Rel. int.
18.83  2
33.31  100
38.19  35
39.57  16
55.12  12
56.16  23
65.94  28
67.82  13
69.95  12
81.73  4

Lattice parameters (Å, degrees): 4.7131 4.7131 9.1107 90.00 90.00 90.00
Space group P4/mmm (No. 123)
Inequivalent atoms, fractional coordinates:
Nd1 0.0000 0.0000 0.0000
Y1 0.0000 0.0000 0.5000
Hg1 0.0000 0.5000 0.2547
Hg2 0.5000 0.5000 0.0000
Hg3 0.5000 0.5000 0.5000
*/
11-19 Milwaukee, WI - Riverside Theater ("Short of It")
Get your free Decemberists download by going to http://delivery.capitolmusic.com/artists/the_decemberists/perfect_crime_2_giveaway/index.php
Friday, August 10, 2007
What I learned last night at the Crowded House Concert...
Let me first start by saying that Crowded House is still hot, white hot. And those boys can most certainly rock, case in point "Locked Out" was so tough, crunchy guitar and everything. It was such a fantastic show. The concert was nothing but new material with a few gems mixed in, but they came back for two more sets playing nothing but the hits. This post isn't about the show, it's about the very valuable lesson I learned last night that I wanted to share because it might help you at some point.
A little back story...at 8PM I was still in CT, which was when the concert started, and we weren't going to be leaving any time soon. I made a Production Assistant drive me to the train station (a luxury I have being an APOC) that way I'd at least get to NYC by 9:30PM. By the time I got off the train and subway I arrived at the venue 2 hours late, hoping that I'd only miss a few songs from their set and missing the opener entirely, which was the case. The kicker being, before I left for work yesterday I left the actual concert ticket at my apartment. I called the ticket outlet and they said they'd try to switch my ticket to a will call pickup but with it being the same day they wouldn't guarantee it. They told me to show up at the venue with my ID, Credit Card, and email confirmation. I raced to the concert not even knowing if I'd get in or not.
The lesson is as follows...if you show up at will call, but only after they close, you will find an employee waiting for any last minute arrivals. Start telling her your situation and wave papers in front of her, she won't listen nor would I say care. She just looked at the pile of tickets and gave me the top single ticket and sent me right in. I was prepared to be in the upper balcony, which was where my original ticket was located (I'm cheap). What I discovered when I went to an usher was that I had an Orchestra seat. Yes, Orchestra Seats!! She ushered me to my seat, which ended up being Orchestra Center, Row 3. I was directly in front of the stage, Neil Finn was literally sweating and I could see the beads. When I got home I priced out how much this seat would have cost and I scored for $300 seat for $65.
In conclusion, to score kick ass seats (that you may or may not have purchased) all you have to do is show up late, have an excuse, wave papers (I used my crew list actually), find an employee who doesn't give a shit and you'll end up with Orchestra Center, Row 3 seats. Utterly fantastic.
Lyn you would have been so proud and I even took a picture with my phone to prove my good fortune. Will send it later.